Input
(1)
## K2ZnH8N4 (PBE)

Data for a relaxed structure of K2ZnH8N4.

Unit cell a=7.3391 b=6.9521 c=13.0439 alpha=90.00 beta=106.27 gamma=90.00
Closest atoms and distances in Å follow each position.
Atoms (fractional coordinates):
1 K 0.9225 0.3609 0.6000  7 H 2.67-2.99, 5 N 2.80-2.96
2 K 0.0775 0.6391 0.4000  7 H 2.67-2.99, 5 N 2.80-2.96
3 K 0.5752 0.8693 0.8942  7 H 2.69-2.94, 5 N 2.78-2.86
4 K 0.4248 0.3693 0.6058  7 H 2.69-2.94, 5 N 2.78-2.86
5 K 0.0775 0.8609 0.9000  7 H 2.67-2.99, 5 N 2.80-2.96
6 K 0.9225 0.1391 0.1000  7 H 2.67-2.99, 5 N 2.80-2.96
7 K 0.4248 0.1307 0.1058  7 H 2.69-2.94, 5 N 2.78-2.86
8 K 0.5752 0.6307 0.3942  7 H 2.69-2.94, 5 N 2.78-2.86
9 N 0.8824 0.7339 0.0551  2 H 1.03
10 N 0.2405 0.5188 0.7474  2 H 1.02-1.03
11 N 0.7489 0.5394 0.7436  2 H 1.03
12 N 0.7489 0.9606 0.2436  2 H 1.03
13 N 0.4299 0.7696 0.5576  2 H 1.03
14 N 0.1176 0.2339 0.4449  2 H 1.03
15 N 0.5701 0.2304 0.4424  2 H 1.03
16 N 0.7595 0.0188 0.7526  2 H 1.02-1.03
17 N 0.2511 0.4606 0.2564  2 H 1.03
18 N 0.7595 0.4812 0.2526  2 H 1.02-1.03
19 N 0.1176 0.2661 0.9449  2 H 1.03
20 N 0.4299 0.7304 0.0576  2 H 1.03
21 N 0.5701 0.2696 0.9424  2 H 1.03
22 N 0.2511 0.0394 0.7564  2 H 1.03
23 N 0.8824 0.7661 0.5551  2 H 1.03
24 N 0.2405 0.9812 0.2474  2 H 1.02-1.03
25 H 0.1174 0.0153 0.7065  1 N 1.03
26 H 0.3357 0.4788 0.2063  1 N 1.03
27 H 0.1286 0.3947 0.9854  1 N 1.03
28 H 0.8654 0.1046 0.7407  1 N 1.03
29 H 0.8826 0.5153 0.7935  1 N 1.03
30 H 0.0192 0.7320 0.1044  1 N 1.03
31 H 0.3533 0.8883 0.2627  1 N 1.02
32 H 0.9808 0.2680 0.8956  1 N 1.03
33 H 0.3357 0.0212 0.7063  1 N 1.03
34 H 0.6567 0.2228 0.3925  1 N 1.03
35 H 0.6643 0.9788 0.2937  1 N 1.03
36 H 0.6467 0.1117 0.7373  1 N 1.02
37 H 0.3533 0.6117 0.7627  1 N 1.02
38 H 0.8714 0.6053 0.0146  1 N 1.03
39 H 0.6004 0.3948 0.9861  1 N 1.03
40 H 0.6567 0.2772 0.8925  1 N 1.03
41 H 0.3996 0.8948 0.5139  1 N 1.03
42 H 0.1346 0.8954 0.2593  1 N 1.03
43 H 0.6467 0.3883 0.2373  1 N 1.02
44 H 0.1286 0.1053 0.4854  1 N 1.03
45 H 0.3433 0.7228 0.1075  1 N 1.03
46 H 0.0192 0.7680 0.6044  1 N 1.03
47 H 0.8826 0.9847 0.2935  1 N 1.03
48 H 0.3433 0.7772 0.6075  1 N 1.03
49 H 0.8714 0.8947 0.5146  1 N 1.03
50 H 0.6643 0.5212 0.7937  1 N 1.03
51 H 0.3996 0.6052 0.0139  1 N 1.03
52 H 0.1346 0.6046 0.7593  1 N 1.03
53 H 0.6004 0.1052 0.4861  1 N 1.03
54 H 0.1174 0.4847 0.2065  1 N 1.03
55 H 0.9808 0.2320 0.3956  1 N 1.03
56 H 0.8654 0.3954 0.2407  1 N 1.03
57 Zn 0.2935 0.2860 0.8466  4 N 2.04-2.07
58 Zn 0.7065 0.7140 0.1534  4 N 2.04-2.07
59 Zn 0.2935 0.2140 0.3466  4 N 2.04-2.07
60 Zn 0.7065 0.7860 0.6534  4 N 2.04-2.07

**Space group**: P2_1/c
**ρ**: 2.2 g/cm3
**E**: -4.602 eV/atom
**Crystal system**: monoclinic

(2)
## ErSi2NiAg (PBE)

Data for a relaxed structure of ErSi2NiAg.

Unit cell a=5.8315 b=5.8315 c=5.8315 alpha=139.54 beta=139.54 gamma=58.55
Closest atoms and distances in Å follow each position.
Atoms (fractional coordinates):
1 Ag 0.0000 0.0000 0.0000  4 Si 2.45
2 Ni 0.5000 0.5000 0.0000  4 Si 2.45
3 Er 0.7500 0.2500 0.5000  8 Si 3.08, 4 Ag 3.25, 4 Ni 3.25
4 Si 0.3638 0.8638 0.5000  1 Si 2.31, 2 Ag 2.45, 2 Ni 2.45
5 Si 0.1362 0.6362 0.5000  1 Si 2.31, 2 Ni 2.45, 2 Ag 2.45

**Total magnetic moment**: 0.0002 μB per atom
**Space group**: I-4m2
**ρ**: 7.8 g/cm3
**E**: -5.295 eV/atom
**Crystal system**: tetragonal

(3)
## TaNbFe (PBE)

Data for a relaxed structure of TaNbFe.

Unit cell a=4.1913 b=4.1913 c=4.1913 alpha=60.00 beta=60.00 gamma=60.00
Closest atoms and distances in Å follow each position.
Atoms (fractional coordinates):
1 Ta 0.7500 0.7500 0.7500  4 Fe 2.57
2 Fe 0.0000 0.0000 0.0000  4 Ta 2.57, 4 Nb 2.57
3 Nb 0.2500 0.2500 0.2500  4 Fe 2.57

**Total magnetic moment**: 0.0010 μB per atom
**Space group**: F-43m
**ρ**: 10.5 g/cm3
**E**: -9.821 eV/atom
**E_form**: 0.264 eV/atom
**Crystal system**: cubic
**Energy relative to the lowest polymorph listed for this composition**: 0 meV per atom

(4)
## Pr3SmPt8 (PBE)

Data for a relaxed structure of Pr3SmPt8.

Job
Next, quote everything earlier on with every line break kept.

Worked solution
(1)
## K2ZnH8N4 (PBE)

Data for a relaxed structure of K2ZnH8N4.

Unit cell a=7.3391 b=6.9521 c=13.0439 alpha=90.00 beta=106.27 gamma=90.00
Closest atoms and distances in Å follow each position.
Atoms (fractional coordinates):
1 K 0.9225 0.3609 0.6000  7 H 2.67-2.99, 5 N 2.80-2.96
2 K 0.0775 0.6391 0.4000  7 H 2.67-2.99, 5 N 2.80-2.96
3 K 0.5752 0.8693 0.8942  7 H 2.69-2.94, 5 N 2.78-2.86
4 K 0.4248 0.3693 0.6058  7 H 2.69-2.94, 5 N 2.78-2.86
5 K 0.0775 0.8609 0.9000  7 H 2.67-2.99, 5 N 2.80-2.96
6 K 0.9225 0.1391 0.1000  7 H 2.67-2.99, 5 N 2.80-2.96
7 K 0.4248 0.1307 0.1058  7 H 2.69-2.94, 5 N 2.78-2.86
8 K 0.5752 0.6307 0.3942  7 H 2.69-2.94, 5 N 2.78-2.86
9 N 0.8824 0.7339 0.0551  2 H 1.03
10 N 0.2405 0.5188 0.7474  2 H 1.02-1.03
11 N 0.7489 0.5394 0.7436  2 H 1.03
12 N 0.7489 0.9606 0.2436  2 H 1.03
13 N 0.4299 0.7696 0.5576  2 H 1.03
14 N 0.1176 0.2339 0.4449  2 H 1.03
15 N 0.5701 0.2304 0.4424  2 H 1.03
16 N 0.7595 0.0188 0.7526  2 H 1.02-1.03
17 N 0.2511 0.4606 0.2564  2 H 1.03
18 N 0.7595 0.4812 0.2526  2 H 1.02-1.03
19 N 0.1176 0.2661 0.9449  2 H 1.03
20 N 0.4299 0.7304 0.0576  2 H 1.03
21 N 0.5701 0.2696 0.9424  2 H 1.03
22 N 0.2511 0.0394 0.7564  2 H 1.03
23 N 0.8824 0.7661 0.5551  2 H 1.03
24 N 0.2405 0.9812 0.2474  2 H 1.02-1.03
25 H 0.1174 0.0153 0.7065  1 N 1.03
26 H 0.3357 0.4788 0.2063  1 N 1.03
27 H 0.1286 0.3947 0.9854  1 N 1.03
28 H 0.8654 0.1046 0.7407  1 N 1.03
29 H 0.8826 0.5153 0.7935  1 N 1.03
30 H 0.0192 0.7320 0.1044  1 N 1.03
31 H 0.3533 0.8883 0.2627  1 N 1.02
32 H 0.9808 0.2680 0.8956  1 N 1.03
33 H 0.3357 0.0212 0.7063  1 N 1.03
34 H 0.6567 0.2228 0.3925  1 N 1.03
35 H 0.6643 0.9788 0.2937  1 N 1.03
36 H 0.6467 0.1117 0.7373  1 N 1.02
37 H 0.3533 0.6117 0.7627  1 N 1.02
38 H 0.8714 0.6053 0.0146  1 N 1.03
39 H 0.6004 0.3948 0.9861  1 N 1.03
40 H 0.6567 0.2772 0.8925  1 N 1.03
41 H 0.3996 0.8948 0.5139  1 N 1.03
42 H 0.1346 0.8954 0.2593  1 N 1.03
43 H 0.6467 0.3883 0.2373  1 N 1.02
44 H 0.1286 0.1053 0.4854  1 N 1.03
45 H 0.3433 0.7228 0.1075  1 N 1.03
46 H 0.0192 0.7680 0.6044  1 N 1.03
47 H 0.8826 0.9847 0.2935  1 N 1.03
48 H 0.3433 0.7772 0.6075  1 N 1.03
49 H 0.8714 0.8947 0.5146  1 N 1.03
50 H 0.6643 0.5212 0.7937  1 N 1.03
51 H 0.3996 0.6052 0.0139  1 N 1.03
52 H 0.1346 0.6046 0.7593  1 N 1.03
53 H 0.6004 0.1052 0.4861  1 N 1.03
54 H 0.1174 0.4847 0.2065  1 N 1.03
55 H 0.9808 0.2320 0.3956  1 N 1.03
56 H 0.8654 0.3954 0.2407  1 N 1.03
57 Zn 0.2935 0.2860 0.8466  4 N 2.04-2.07
58 Zn 0.7065 0.7140 0.1534  4 N 2.04-2.07
59 Zn 0.2935 0.2140 0.3466  4 N 2.04-2.07
60 Zn 0.7065 0.7860 0.6534  4 N 2.04-2.07

**Space group**: P2_1/c
**ρ**: 2.2 g/cm3
**E**: -4.602 eV/atom
**Crystal system**: monoclinic

(2)
## ErSi2NiAg (PBE)

Data for a relaxed structure of ErSi2NiAg.

Unit cell a=5.8315 b=5.8315 c=5.8315 alpha=139.54 beta=139.54 gamma=58.55
Closest atoms and distances in Å follow each position.
Atoms (fractional coordinates):
1 Ag 0.0000 0.0000 0.0000  4 Si 2.45
2 Ni 0.5000 0.5000 0.0000  4 Si 2.45
3 Er 0.7500 0.2500 0.5000  8 Si 3.08, 4 Ag 3.25, 4 Ni 3.25
4 Si 0.3638 0.8638 0.5000  1 Si 2.31, 2 Ag 2.45, 2 Ni 2.45
5 Si 0.1362 0.6362 0.5000  1 Si 2.31, 2 Ni 2.45, 2 Ag 2.45

**Total magnetic moment**: 0.0002 μB per atom
**Space group**: I-4m2
**ρ**: 7.8 g/cm3
**E**: -5.295 eV/atom
**Crystal system**: tetragonal

(3)
## TaNbFe (PBE)

Data for a relaxed structure of TaNbFe.

Unit cell a=4.1913 b=4.1913 c=4.1913 alpha=60.00 beta=60.00 gamma=60.00
Closest atoms and distances in Å follow each position.
Atoms (fractional coordinates):
1 Ta 0.7500 0.7500 0.7500  4 Fe 2.57
2 Fe 0.0000 0.0000 0.0000  4 Ta 2.57, 4 Nb 2.57
3 Nb 0.2500 0.2500 0.2500  4 Fe 2.57

**Total magnetic moment**: 0.0010 μB per atom
**Space group**: F-43m
**ρ**: 10.5 g/cm3
**E**: -9.821 eV/atom
**E_form**: 0.264 eV/atom
**Crystal system**: cubic
**Energy relative to the lowest polymorph listed for this composition**: 0 meV per atom

(4)
## Pr3SmPt8 (PBE)

Data for a relaxed structure of Pr3SmPt8.